Christmas. My rent a wreck winter tired red Grand Am car parked under last night's snow in front of the Glenwood Motel room here in Trail .All week working at the Kootenay Boundary Regional Hospital Daly Pavillion I've used the key fob horn activator to find it among all the other white parking lot burial mounds.
It's definitely a white Christmas. Reminiscient of my Winnipeg childhood, front yard snow men, backyard snow tunnels. Sometimes we even had to wait for neighbours to dig out the doorway so the door could be opened in the roof high snow drifts. Then we'd go round and dig out other neighbours.
We had a sun room, windows all around, at the front of the little red brick bungalo on Fort Garry's North Drive. That's where the Christmas tree stood. Sometimes we'd go out to the woods to cut down a fir or pine with axe or saw. More often though we bought it up on Pembina Highway and tied it on the roof of the car. I remember the American Rambler doing this duty, a blanket under it to protect the paint job.
Mom had the decorations from the years gone by, some her mothers and maybe her mother's mothers. They lived all year carefully wrapped in basement boxes alongside the preserves. There would be angels and stars, round green and red balls, tinsel and flashing multi coloured lights. Decorating the tree was a family affair but most often it was just Mom and the boys. Dad was instrumental with the tree stand and the lights. Christmas was always a special family occasion. Mom made it so.
There'd always be a dog too. Sonny our springer spaniel played centre stage in a lot of childhood memories. Sometimes it was Buddy or one of the goofy black labs. Dad loved playing with Sonny, circling his hand held treat about Sonny's head till pretty soon Sonny was spinning like a top, barking and sliding about on the hard wood floor ,threatening to crash into the tree. Mom would be shooshing dad with her , "Johnny, no," We kids would be jumping up and down laughing. The dog would fall over and Dad would grab him in a hug and that dog would lick faces all round.
Many's the night I shook Christmas presents before going to sleep listening for Santa. Mom even put out milk and cookies when we were really small. I miss her.
Then it would be Christmas morning. But what a time it was getting Dad out of bed. Ron and I'd get on either side of him poking and shaking him and Dad would feign sleep and act like he didn't know it was Christmas morning asking us endless questions about why he had to get up. "Dad!" we'd scream. The dog would be jumping up with its forepaws on the bed. Eventually Dad would say "Oh alright, I'd best see what all this fuss is about!"
Meanwhile Mom would have their tea made. Caroles and weather reports would be playing on CJOB. Mom turned the radio on as automatically as she put the kettle on the electric stove.
Mandarin oranges. Mom always had mandarin oranges. There'd be stockings hanging from the mantle mostly with individually wrapped chocolates and candy cane. Dad would be in a white sleeveless under shirt and red or green plaid pyjama bottoms, and slippers. Mom had floor length house coats. We kids flannel plaid pyjamas. The only clothes we liked getting were Hockey shirts. I had Toronto Maple Leaf's blue and whites while my brother wore the Montreal Canadiens white and reds.
Alot of the Christmas photos feature us wearing hockey gifts with their respective logos. Invariably we'd get new sticks. We always got new pyjamas but the only ones I remember liking had a cowboy and horses pattern. Mostly we didn't like clothes as boys. We wanted toys. Toys. Games. Sport stuff !!
Next to the article, the page also holds calculated crystals >
# 1
Material: Sr2LiZn2
Method: DFT, PBE-GGA
State: relaxed

The polymorph energy (0 for the lowest one) is 4 meV per atom. The calculation puts the magnetization at 0.0 Bohr magnetons per cell. The value obtained for the energy of formation is -0.74 eV per formula unit. The density of states at the Fermi level is 6.88 states/eV/cell.

Cell lengths 6.4162, 6.4162, 8.5916 Å; angles 101.92, 101.92, 58.90 degrees
Fractional positions:
Sr 0.0003 0.2913 0.1443
Sr 0.9997 0.7087 0.8557
Sr 0.2913 0.0003 0.6443
Sr 0.7087 0.9997 0.3557
Li 0.3802 0.6198 0.2500
Li 0.6198 0.3802 0.7500
Zn 0.2106 0.5008 0.4986
Zn 0.4992 0.7894 0.0014
Zn 0.5008 0.2106 0.9986
Zn 0.7894 0.4992 0.5014

---

# 2
Material: NaSF2
Method: DFT, PBE-GGA
State: relaxed

The polymorph energy (0 for the lowest one) is 0 meV per atom. The calculation puts the magnetization at 1.2 Bohr magnetons per cell. The density of states at the Fermi level is 4.78 states/eV/cell.

Cell lengths 3.3477, 3.3477, 18.7174 Å; angles 90.00, 90.00, 120.00 degrees
Fractional positions:
Na 0.0000 0.0000 0.0000
Na 0.3333 0.6667 0.6667
Na 0.6667 0.3333 0.3333
S 0.0000 0.0000 0.5000
S 0.3333 0.6667 0.1667
S 0.6667 0.3333 0.8333
F 0.0000 0.0000 0.3980
F 0.0000 0.0000 0.6020
F 0.3333 0.6667 0.0647
F 0.3333 0.6667 0.2687
F 0.6667 0.3333 0.7313
F 0.6667 0.3333 0.9353

---

# 3
Material: TaCdRh
Method: DFT, PBE-GGA
State: relaxed

The calculation puts the magnetization at 0.0 Bohr magnetons per cell. The value obtained for the energy of formation is -0.37 eV per formula unit. The density of states at the Fermi level is 3.96 states/eV/cell.

Cell lengths 3.0448, 3.0448, 11.4836 Å; angles 90.00, 90.00, 90.00 degrees
Fractional positions:
Ta 0.0000 0.0000 0.0000
Ta 0.5000 0.5000 0.5000
Cd 0.0000 0.0000 0.6922
Cd 0.5000 0.5000 0.1922
Rh 0.0000 0.0000 0.3667
Rh 0.5000 0.5000 0.8667

---

# 4
Material: Sr2ScPb
Method: DFT, PBE-GGA
State: relaxed

The calculation puts the magnetization at 0.5 Bohr magnetons per cell. The value obtained for the energy of formation is -0.43 eV per formula unit. The density of states at the Fermi level is 3.86 states/eV/cell.

Cell lengths 5.0997, 5.0997, 5.1578 Å; angles 90.00, 90.00, 90.00 degrees
Fractional positions:
Sr 0.0000 0.5000 0.0000
Sr 0.5000 0.0000 0.0000
Sc 0.0000 0.0000 0.5000
Pb 0.5000 0.5000 0.5000

---

# 5
Material: La5Sm12Er2
Method: DFT, PBE-GGA
State: relaxed

The polymorph energy (0 for the lowest one) is 0 meV per atom. The calculation puts the magnetization at 0.0 Bohr magnetons per cell. The value obtained for the energy of formation is 2.35 eV per formula unit. The density of states at the Fermi level is 31.75 states/eV/cell.

Cell lengths 13.0869, 13.0869, 13.0869 Å; angles 156.17, 132.54, 53.78 degrees
Fractional positions:
La 0.0000 0.0000 0.0000
La 0.1976 0.1976 0.0000
La 0.3006 0.8006 0.5000
La 0.6994 0.1994 0.5000
La 0.8024 0.8024 0.0000
Sm 0.0665 0.3065 0.7600
Sm 0.1031 0.6031 0.5000
Sm 0.1895 0.9148 0.2747
Sm 0.3600 0.0852 0.2747
Sm 0.4190 0.4190 0.0000
Dad in his pyjama bottoms and white sleeveless undershirt would sit by the tree with the dog by his side hoping for more treats while mom sat by the table drinking her tea. Outside our three big fir trees were heavy laden with snow.
Ron or I would hand out presents from under the tree and we'd wait while each person opened theirs. Much oohing and ahhing, and thanking and yipping with the dog running in circles, mom shushing and Dad laughing.
Mom tried to save paper from year to year. Our parents had lived through the depression and waste was frowned on. Occasionally we'd talk about the years that a particular piece had been in the family, trying to recall which gifts had been wrapped in it the year before.
Funny I don't remember the presents much today. Not many come to mind right now. Alot of things that kids needed like socks and underwear, winter clothes, books or school things got wrapped and put under the tree. Always something, modest enough, like a car, plane or boat model, a camp knife, something we really wanted would be in amongst all the " just stuff". I remember most the red wooden sleigh my father made me out in secrecy in the basement work shop. Later he'd make me my first set of wooden skis with cow hide straps.
Mostly it was the occasion. Family. It wasn't about church or outsiders. It was just family. Church was part of it. But that was on the Sunday of Christmas week and I don't remember Christmas falling on a Sunday. If it did, church would have been fitted into the ritual of Christmas tree morning present opening, afternoon toboganning, or ice skating and later Christmas dinner.
Best of all was when my Aunt Sally came. She was my mother's older sister and came from 'out east". She was always elegantly decked out in the lastest Toronto fashion. She and mom would giggle like girls when they were together. She'd make my dad blush too. We were best of buds all the way till she died at 90 a few years back.
Even earlier Grandma, mom's mom was there. She smiled alot and had hands gnarled with arthritis. She lived in the sun room where we'd have the tree until one night, not at Christmas, she died in her sleep. She was a happy kind soul. And her daughter's sure loved their mother. And she loved her grandchildren.
Sometimes Dad's cowboy brothers came south with Grandpa Hay. Grandpa was an old Scot. A pioneer. Later Reeve. The men would tell stories of hunting, horses, farming, the one room school house, friends from childhood, guys who went to war, for hours. We kids would look on and listen with fascination. I don't ever remember Grandma Hay taking that long winter trip south in the boat sized cars they drove. Minetonas, northern Manitoba, may as well have been the north pole in winter. I always loved visiting the ranch though in the summer getting into trouble with the gang of cousins, chasing chickens and even riding their huge clydesdale horses. When I was really small I remember one of the uncles first lifting me up on that big horse. It had to be bigger than an elephant. Years later I 'd ride horses, camels and harleys. Dad loved to tell stories of driving teams of those horses, logging, as a boy before the war. It wasn't till after mother died that he talked about the coastal bombing missions he flew on during the war. He didn't even tell us he'd gone hang gliding with our uncle in their late 70's. "I couldn't tell you," he said. "I was afraid you'd tell your mother."
I'll always remember mom's turkey dinners. Mashed potatoes and gravy. Rhubarb pies. Chocolates, candy canes and oranges. Playing canasta and rumoli cards after dinner, Dad showing 8 mm movies, little shorts from the year before and years gone by. In one mom got the camera and caught him naked except for shorts and suspenders holding up knee high socks and black shoes. In another mom and a gaggle of other mothers are chasing cans on the ice rink at the winter fair. I'm running around playing Indian in another Christmas short. There were lots of us kids and the dogs in those movies. Home movie memories. A ritual in the Hay home.
Christmas peaked when I was a kid. It never got better. Dad and Mom,Ron, the dogs and the rest of the family getting together, playing and laughing on this special day of the year. Toboganning too. We did that in the afternoon before the dinner. The sleigh dad made was by far the fastest thing on the riverbank slopes. Or ice skating, especially the year the wind blew the snow off the frozen Red River and we could skate for miles.
Later there'd be other good christmas memories. Door to door carolling with teen age school friends for UNICEF, opening the Christmas food care packages in the London flat away across the Atlantic , my gorgeous young dancer wife and I, so very young to be travelling and working overseas. Later Christmas's with familes when we had our own house. My wife and I did our very best to make the finest Christmas dinners to entertain the parents we loved. Whirlwinds of preparations, kitchen chaos and really, good times.
Later the lonely Christmas seasons, more thoughtful spiritual times. Christmas masses, faraway from home places, palm trees, strangers, hospitals and work. A Christmas alone at sea with a dog and cat. But always the spirit of Christmas.
It was never again like the special Christmas of childhood with Mom and Dad, my brother and the dogs, grandparents, uncles and aunts, the Winnipeg home, snow and heart's aglow with love and laughter.
Right now my ninety year old dad is with my brilliant brother,beautiful sister in law and crazy grown nephews out east. I'll trying phoning them all again before I sweep my car and head into the hospital. The nurses just called. I'm looking forward to Christmas dinner with other doctors and nurses tonight. There's always the spirit of Christmas among them.
Feliz Navidad. Merry Christmas.